Throughout the Earth/matriX series of essays, we have often mentioned the concept of "coincidence of terms" between the ancient reckoning numbers and the fundamental physical constants of today's scientific world. Many of the coincidences appear to stem from employing the fractal expression of numbers. And, in that manner, one may simply dismiss many of the observations made throughout the series to happenstance.
However, as we further our studies, we realize that there most definitely existed a body of knowledge in the ancient past, and within many different cultures, that appears to have been incorporated from somewhere outside of those civilizations. Many theses exist in this regard. Some authors have postulated as the source for such knowledge, the idea of Atlantis, or the continent of Mu. Other students of the past simply state that the knowledge came from somewhere out in space.
Aside from the fact that such knowledge has no obvious historical record to support such theses, the mere suggestion of an extraneous source of knowledge to these great cultures is rejected. The rejection comes from a feeling that merit is being taken away from the all-impressive ancient cultures. Obviously, the study of the past cannot be based upon an effort in either sense, to grant or to withdraw merit from the ancient cultures. The point moreover is to simply know from whence such knowledge may have come. The analytical implications are far-reaching in either case, and shall contribute to our understanding of the origins of civilization.
"What is Civilization?
The Great Civilizations of the past ---Egyptian, Assyrian, Persian, Greek, Roman--- did not spring into being out of the void. Their tremendous cultural and material achievements were due, not to the emergence of superior human beings, but rather to the methodical application and development of skills and technologies inherited from those who proceeded them." [Stuart Piggott, ed., The Dawn of Civilization, The First World Survey of Human Cultures in Early Times, McGraw Hill, New York, 1961, p.11]
The over-riding question is to know who were the ones who came before. Scholars, archaeologists and anthropologists are hard-pressed to explain the existence of many of the monuments and pyramidal sites around the world, and the degree of knowledge required for their placement. Hardly any two scholars can agree upon how, much less why, most of the monuments were built in antiquity. The very dating of the sites, the idea of when the monumental structures made their appearance, causes serious disagreement.
┌──
Below is a 3-piece molecular cluster, C4H12BrO2 overall in a non-equilibrium geometry, with properties calculated with ωB97M-V/def2-TZVPD.

Calculated values
LUMO energy (alpha / beta) = 0.654 / -4.203 eV
E_HOMO (alpha / beta) = -10.003 / -10.000 eV
⟨S²⟩ = 0.752
Multiplicity = 2
Relative energy (zero: lowest compared OMol25 entry of this formula, charge and spin) = 0.0 kJ/mol

```
19
C4H12BrO2 ωB97M-V/def2-TZVPD
Br 0.08152 0.64660 2.59957
C 2.53586 -2.06566 -0.31536
C 3.45187 -2.02652 0.86429
O 2.77263 -1.95688 2.00763
H 1.89870 -2.94846 -0.36830
H 3.15454 -2.25458 -1.19266
H 1.82671 -1.24575 -0.42919
H 4.12830 -1.17875 0.75552
H 4.18583 -2.83215 0.88353
H 2.07503 -1.31081 1.87510
C -3.60547 2.48407 -0.52642
C -2.55386 1.65850 -1.18741
O -2.13026 0.59012 -0.34473
H -4.54054 1.92420 -0.50942
H -3.75760 3.35559 -1.16315
H -3.41945 2.84171 0.48629
H -1.70967 2.25262 -1.53734
H -3.03710 1.18220 -2.04047
H -1.35700 0.88390 0.14246
```

Atom charges from the Löwdin analysis, given in e for atoms 1 to 4:
1 Br 0.20
2 C -0.09
3 C -0.41
4 O -0.06

Below is one molecule with the formula C20H21NO5S, with properties calculated with ωB97M-V/def2-TZVPD.

Calculated values
LUMO energy = 0.371 eV
SMILES = Cc1ccc(S(=O)(=O)CCC(=O)OCC(=O)N2CCc3ccccc32)cc1
E_HOMO = -7.866 eV
Multiplicity = 1
Relative energy (zero: lowest compared OMol25 entry of this formula, charge and spin) = 26.6 kJ/mol

```
48
C20H21NO5S ωB97M-V/def2-TZVPD
C -6.16196 -2.02414 0.20718
C -4.84718 -1.30919 0.19500
C -4.58786 -0.31716 -0.74594
C -3.36502 0.32957 -0.76985
C -2.39738 -0.02055 0.15184
S -0.83099 0.85297 0.15313
O -0.54461 1.26337 -1.20035
O 0.14578 0.04232 0.82275
C -1.18063 2.36670 1.14170
C -0.81613 3.58058 0.31460
C 0.63360 3.54475 -0.14477
O 1.06568 4.17163 -1.07272
O 1.36257 2.76755 0.65236
C 2.77002 2.68702 0.42185
C 3.23359 1.26897 0.79323
O 3.76330 1.07123 1.86876
N 3.02018 0.32147 -0.13877
C 2.49841 0.56197 -1.48391
C 2.20457 -0.82503 -2.07497
C 2.79104 -1.76252 -1.06520
C 2.90628 -3.13428 -1.10968
C 3.47233 -3.79393 -0.02600
C 3.90463 -3.08090 1.07893
C 3.79306 -1.69871 1.13407
C 3.23346 -1.04891 0.04848
C -2.62906 -1.00527 1.09268
C -3.85396 -1.64753 1.11024
H -6.93980 -1.41961 -0.25195
H -6.08000 -2.95429 -0.35544
H -6.45798 -2.27420 1.22313
H -5.34882 -0.05207 -1.46500
H -3.14139 1.08949 -1.50203
H -0.58012 2.28293 2.04222
H -2.24011 2.34573 1.38537
H -0.95535 4.49994 0.89079
H -1.43639 3.64301 -0.58060
H 3.26342 3.38645 1.10572
H 2.99454 2.96301 -0.61228
H 3.25819 1.08992 -2.07196
H 1.58891 1.15967 -1.45306
H 1.12729 -0.98256 -2.16105
H 2.64797 -0.95281 -3.06327
H 2.56165 -3.68569 -1.97230
H 3.57274 -4.86905 -0.04678
H 4.33996 -3.60636 1.91606
H 4.12686 -1.14462 1.99432
H -1.84139 -1.25976 1.78401
H -4.04393 -2.42110 1.83943
```

Atom charges from the Löwdin analysis, given in e for atoms 1 to 4:
1 C -0.05
2 C -0.27
3 C -0.03
4 C -0.05

Below is C34H40N4O3P2Re as an isolated structure in a non-equilibrium geometry, with properties calculated with ωB97M-V/def2-TZVPD.
└──
One can easily accept the genius of the human mind; we need only observe our present and past achievements as people upon this Earth and beyond. One might also conclude that with a simple compass and straightedge all things, all relations may be known by us, without even leaving the ground. Now, that we have ventured out into space within our solar system, we are beginning to realize that there are certain kinds of knowledge and data that may only be generated as of leaving the ground.
But, there is one particular physical constant that has been derived from pure theory. This concerns the constant of the little g, "acceleration due to gravity". [Cfr., Clifford E. Swartz, Phenomenal Physics, John Wiley & Sons, New York, 1981, pp101-102.]
"As we have seen, one the surface of the earth an object with mass m has a weight given by F = G (mM/R2), where M and R are the mass and radius of the earth. The quantity, GM/R2 is approximately a constant, and is given the symbol g. Actually, g is not a constant, partly because the radius of the earth varies from pole to equator, and partly because the centrifugal effect caused by the earth's rotation depends on latitude. The first effect reduces g at the equator (compared with the poles) by 0.18%; the second, effect ... reduces g by 0.34%. ... The weight of an object with mass m on the earth's surface is equal to mg. For instance, a 1 kg mass has a weight of (1 kg)(9.8 N/kg) = 9.8N.
"This number, 9.8 first appeared when we described objects falling freely at the surface of the earth. Any such object, regardless of mass, accelerates at a rate of 9.8 m/s2. Little g (as opposed to capital G, the universal gravitational constant) is usually called, :the acceleration due to gravity" and is assigned the units of m/s2." [Ibid., p.101].
As we observe the numbers of the fundamental physical constants, as that reviewed above by professor Swartz, we might consider such knowledge to be proper only to the more recent history of humankind's scientific endeavors. But, as we explore these numbers a little more, we begin to see the details and some of these constant expressions remind us of past knowledge. The 9.8 figure cited above does not help us visualize any particular relationship between past and present cognition. In fact, that is not the cited author's intention. The purpose of his helpful book on physics is quite simply that of teaching others; for which we are grateful.
But, let us turn our attention to the little g as expressed on different parts of the earth oblate globe. As professor Swartz explains in his excellent book, the (constant) numbers shall vary according to latitude, precisely due to the fact that the earth is not a perfect sphere. For our source of information, let us consult the 51st Handbook of Chemistry and Physics, 1970-1971, Edited by Robert C. Weast, The Chemical Rubber Co., Cleveland, Ohio, 1970, p. F-144. (We also consulted the more recent edition of this work, but the older ones appear to have more detailed information, which has been lost in the later editions.)

(Source: 51st Handbook, Ibid., p. F-144.) |
In the previous chart, offered by the 51st Handbook of Chemistry and Physics, the 9.8 number offered by Swartz in his general analysis, is now presented in a precise manner as he himself explained it should be. The acceleration due to gravity at zero latitude on the Earth is cited as being 978.039 cm/sec2; this may be visualized as being rounded off to 9.8 fractal. However, the line of data that caught our eye concerns that of latitude 30, which is close to where the Great Pyramid is located. The little g at latitude 30 is cited as 979.329 cm/sec2 (or 32.1302 ft/sec2 ).
With that one immediately calls to mind half the value of the intriguing historically significant number from Nineveh, which is often cited in the literature. The Nineveh number is given as fractal 1959552c. Half of the Nineveh value would be fractal 979776c. The suspicion that this particular number, whose origin and meaning are unknown today, may be related to the acceleration due to gravity value of little g, is further enhanced when we note the length of the seconds pendulum also cited on this chart. (It may be added, that this particular datum is no longer accompanying the values for little g in the updated version of the 78th Handbook, and would therefore be missed.) The more complete information offered by the older Handbook reveals that the "Length of Seconds Pendulum" for Latitude 30 is 99.2268 centimeters.
The second most historically significant number cited for Nineveh in the literature, we must remember, is precisely that of 2268c, which we have discussed through the Earth/matriX series. One coincidence after another keeps piling up around the historically significant numbers and their fractal expressions in relation to today's fundamental physical constants.
With those two specific coincidences, one then wonders at what latitude might Nineveh be cited on the globe, and sure enough it is just above 35 latitude north, which would correspond closely to the 979.776 value. In other words, half the value of the Nineveh constant corresponds to a similar term as to the fundamental constant figure for its placement on the globe. As we review the table cited, we see that 35 latitude is given as 979.737, which is extremely close to half of the Nineveh figure (979.776). (The 78th Handbook gives a contemporary value of 979.732 instead of 979.737; and, it offers 979.036 instead of 979.039.}
In conclusion, the Nineveh number/fractal 1959552c is twice the little g that would correspond to the placement of Nineveh on the Earth's globe. We have seen in other Earth/matriX essays, that there is a world grid system, and Nineveh would lie squarely within this particular system. What is somewhat surprising is to see how the Nineveh number (fractal 1959552c) relates almost exactly to the corresponding "acceleration due to gravity" constant for the Nineveh site. In previous essays, we have seen how the Nineveh constant, 1959552c, relates to other physical aspects of reality. It would appear that the same/similar proportionality of matter-energy and its geometric/mathematical expression reflects the historically significant numbers and their fractal expression as well. The implications are such, that we might begin to view the ancient reckoning system as a source of knowledge for today's world, and not conceive it as a quirk of history.
Another coincidence of terms concerns the expression of the length of seconds pendulum in the English system, which is 39.0656 inches, as against the 99.2268 cm figure for the 30 latitude term. Again, one sees a correspondence of terms with the ancient maya companion number 1366560c [13.6656 - 39.0656 = 2.54]. With a little more imagination, one might think that a message is being communicated regarding the conversion factor (2.54c) used today for converting metric/English systems of measurement.
A fractal analysis of the numbers relating to the little g, acceleration due to gravity, and the ancient reckoning systems, reflects the possibility that the ancient Nineveh number may be a representation of said physical constant. Obviously, this coincidence of terms is going to be deemed simply that, a coincidence, with little significance given to it by most scholars. Others may be more inclined to further the study of the Nineveh numbers and their fractal expressions in relation to today's fundamental physical constants.
In our mind, the many varied relationships that we have been finding between today's fundamental physical constants and the historically significant numbers/fractals do not constitute happenstance. We are beginning to consider the possibility that the ancient reckoning system may have had many more ramifications than previously suspected.
©2001-2014 Copyrighted by Charles William Johnson. All rights reserved. Reproduction prohibited.
The Nineveh Number and The Fundamental Constant "Acceleration Due to Gravity" (979.776 : 979.732)
March 1, 2001. Earth/matriX: Science in Ancient Artwork.